[Music] Finding a place to live in Paris is not easy Just ask anyone -- French people or foreigners You might call me crazy then for deciding to give up my place in the neighborhood visitors say is the best area in the city I mean you know the Marais, right? Narrow streets, amazingly historic cafes everywhere... Central... It just looks like quintessential Paris It's the 'Hood of Dreams This has been home for me for a decade So why did I swap it for a very different corner of Paris? One that feels sort of more like, I don't know... Berlin? Does this look like postcard Paris to you? First let me explain a little bit about Paris' housing market It is tough There aren't enough apartments and the demand is huge, which means prices are high To give you an idea of rent you're looking €1.5K-€2K to rent an apartment in the city But there are extremely few decent places that come up, and they go super fast Oh, to land a place you need to earn at least three times the rent So €4.5k-€5K a month before income tax This, by the way, is what average salaries look like in Paris after taxes Landlords prefer renting to French people with ultra-solid jobs, like workers for the government or for big companies I'm an actress which means I do not have the best profile as a renter I used to have a regular office job with a great salary But to be perfectly honest, I'm much much happier doing what I do now That sort of happiness, money cannot buy And I'm very much attuned to my surroundings Which brings me to my reasons for giving up this place in the Marais after so many years It wasn't the ugly tiled floor -- though that didn't help It wasn't the low ceiling, the lack of direct sunlight, or the bathroom so small I had to close the door to get to the sink Or the street noise at all hours Or that my cat had no room to play It was largely because the Marais that I used to love barely exists anymore, or that's what I feel anyway What is very important to Parisians is "vie de quartier", which means the sort of neighborhood life you get around you and the neighborhood character reflecting your own character On the face of it, the Marais has that...
So many cafes, shops, galleries and everything Visitors love how densely packed the attractions in the Marais are -- I did too But if you live here for a long time, you get to see the changes Many of the bistrots and boulangeries I used to love have gone, some taken over by clothing chains, some bought up by new owners who want them to be trendy tourist places There's more English spoken than French It's still a fun place, and one I love to go to, like a lot of Parisians But the reality is that the Marais is now more geared to visitors than locals So that's the combination of factors that made me want to move But the icing on the cake was... well the icing on the cake I had a birthday -- I won't tell you what age, but this shot is candle accurate And it made me think Paris is my home -- it will always be So I want a piece of it I don't want to just be a renter, I want to be an owner Now even if I wanted to stay in the Marais, there are factors to consider as an owner You're basically heading towards $1 million for a 500-square-foot apartment Even the other nearby areas in Paris that I love, the 10th and the 11th, are pricey But I was determined to stay in eastern Paris, which for me is the coolest side of the city and where most of my friends live So I looked at the two other arrondissements I really like... The 19th...
Attached: crystal structures:
-- begin --
[1]
Computed powder diffraction line list
Compound: LuNi4P2
Radiation: Cu Kα (λ = 1.5418 Å)
Structure: a structure optimized by DFT (GGA-PBE)
Lines closer than 0.1° are merged.

Principal peaks in the range 5° ≤ 2θ ≤ 70°, sorted by position:
2θ/deg, I/Imax, index
27.95, 20, 1 0 1
38.04, 100, 2 1 1
40.50, 45, 3 1 0
44.30, 18, 2 2 1
48.11, 18, 3 1 1
67.06, 19, 3 1 2

```
data_LuNi4P2
_cell_length_a 7.044
_cell_length_b 7.044
_cell_length_c 3.582
_cell_angle_alpha 90.00
_cell_angle_beta 90.00
_cell_angle_gamma 90.00
_space_group_name_H-M_alt 'P 42/m n m'
_space_group_IT_number 136
_space_group_name_Hall '-P 4n 2n'
loop_
_atom_site_label
_atom_site_fract_x
_atom_site_fract_y
_atom_site_fract_z
Lu1 0.000 0.000 0.000
Ni1 0.083 0.334 0.500
P1 0.221 0.779 0.500
```

***

[2]
Computed powder diffraction line list
Compound: TbLuSiNi
Radiation: Cu Kα (λ = 1.5418 Å)
Structure: a structure optimized by DFT (GGA-PBE)
Lines closer than 0.1° are merged.

Principal peaks in the range 5° ≤ 2θ ≤ 70°, sorted by position:
2θ/deg, I/Imax, index
26.04, 39, 2 0 0
37.15, 100, 2 2 0
45.93, 12, 2 2 2
53.55, 17, 4 0 0
60.49, 16, 4 2 0
66.98, 35, 4 2 2

```
data_TbLuSiNi
_cell_length_a 6.845
_cell_length_b 6.845
_cell_length_c 6.845
_cell_angle_alpha 90.00
_cell_angle_beta 90.00
_cell_angle_gamma 90.00
_space_group_name_H-M_alt 'F -4 3 m'
_space_group_IT_number 216
_space_group_name_Hall 'F -4 2 3'
loop_
_atom_site_label
_atom_site_fract_x
_atom_site_fract_y
_atom_site_fract_z
Tb1 0.000 0.000 0.000
Lu1 0.000 0.000 0.500
Si1 0.250 0.250 0.750
Ni1 0.250 0.250 0.250
```
-- stop --
So much for the crystal structures:
And the 20th Here, places are half the price of the Marais, there's more choice also And they are neighborhoods for Parisians, with a great vie de quartier Whenever you're looking for a place, you're looking for the neighborhood -- what kind of vibe you're looking for The second thing is the apartment itself -- it's really important, and I had very certain criteria [Music] And the third part is your budget, and I'm not going to lie -- it plays a part! The three of these together made it so that I ended up in the 19th And I do love it -- I spent a lot of summers here so it just kind of made sense [Music] Moving out though is such a pain And the water is cut off, so I can't do the dishes because I took the dishwasher away yesterday and the thingamabob is leaking even though I got a bouchon -- a stopper -- for the faucet But it's still leaking, so I had to turn off the water completely in the kitchen I feel like I'm living like an animal I just want it to be over with It's been busy, crazy, ugly, messy... So I need a good breakfast before I go and tackle a whole lot of things that I didn't even know existed in my apartment, and clean it, and hopefully leave Moving house is not fun So what we have here is my new apartment I love it so much -- it's all mine, mine, mine, all mine! Look at this skylight! So much sun... The apartment I found, after a lot of looking, had almost everything I was looking for I will wake up with the sun every morning, it will shine right through the bedroom in my eyes (Wooden) floor, sunlight, top floor, 50m2, big bathroom, old beams and a cellar room (or a 'cave')... Lots of space for clothes -- Yes! Finally! That's great 'cause I love the smell of burning wood But I was extremely afraid of something going wrong, so I've bought -- what have I bought? So I have bought this, and I have to learn how to use it I suppose you just take that out and go pssshhht This is the bathroom When you're taking a bath, you can have a great view of Parisian rooftops Yeah, it's huge How is it that when you move, stuff just appears as if out of nowhere? I have too many shoes! How did I keep all of this? The cave is a blessing, and a curse I'm afraid of caves, and this one needed a bit of fixing I hate them -- they they consist of everything I was afraid of as a child This is terrifying me And honestly, I truly still, in my body, believe there are monsters [Genuine screams] Thank god! Don't do that! [More screams, sorry] Why isn't it coming up? I hate this place, I hate this place so much I actually needed to do a bit of fixing everywhere in the apartment before I could think of it as home However, I really needed to prioritize because, you know, I don't want to get into the details but it costs So prioritizing is the way to go The first thing I did was to get in an electrician to do a whole bunch of things Because especially these things wouldn't work without proper...
== The piece is interrupted by materials data ==
┌──
Starting from a DFT-relaxed cell (PBE, Alexandria), the powder diffractogram of Mn3Tl2Cl10 was calculated for Cu Kα (weighted mean of Kα1 and Kα2).
Neutral-atom scattering factors, no anomalous dispersion.

Principal peaks in the range 5 to 70 degrees two-theta, sorted by position:
2θ 17.66, 5.023 Å, I = 28.4
2θ 21.77, 4.083 Å, I = 100.0
2θ 22.38, 3.973 Å, I = 35.3
2θ 23.06, 3.857 Å, I = 53.7
2θ 31.37, 2.852 Å, I = 72.8
2θ 32.35, 2.767 Å, I = 32.6
2θ 33.02, 2.713 Å, I = 31.8
2θ 34.15, 2.626 Å, I = 59.4
2θ 40.80, 2.212 Å, I = 30.6
2θ 51.11, 1.787 Å, I = 31.2

Structure:
a = 23.1418 Å, b = 7.1750 Å, c = 10.0285 Å
α = 90.00°, β = 110.29°, γ = 90.00°
Space group C2/m (No. 12)
Symmetry-distinct sites (fractional):
Mn1 0.0000 0.2442 0.0000 x4
Mn2 0.0686 0.5000 0.4510 x4
Mn3 0.1795 0.5000 0.0294 x4
Tl1 0.1247 0.0000 0.7632 x4
Tl2 0.2421 0.0000 0.3026 x4
Cl1 0.0000 0.2850 0.5000 x4
Cl2 0.0118 0.0000 0.1780 x4
Cl3 0.0150 0.5000 0.1842 x4
Cl4 0.1133 0.2524 0.0514 x8
Cl5 0.1365 0.2696 0.4730 x8
Cl6 0.1361 0.5000 0.7859 x4
Cl7 0.2349 0.5000 0.2666 x4
Cl8 0.2500 0.2500 0.0000 x4

***

Starting from a DFT-relaxed cell (PBE, Alexandria), the powder diffractogram of MnTl4Cl7 was calculated for Cu Kα (weighted mean of Kα1 and Kα2).
Neutral-atom scattering factors, no anomalous dispersion.

Principal peaks in the range 5 to 70 degrees two-theta, sorted by position:
2θ 21.15, 4.201 Å, I = 63.3
2θ 21.50, 4.133 Å, I = 68.3
2θ 22.98, 3.871 Å, I = 86.5
2θ 25.06, 3.553 Å, I = 100.0
2θ 26.79, 3.328 Å, I = 40.6
2θ 32.06, 2.792 Å, I = 30.1
2θ 34.00, 2.637 Å, I = 33.4
2θ 37.22, 2.416 Å, I = 35.6
2θ 37.79, 2.380 Å, I = 53.4
2θ 43.92, 2.062 Å, I = 31.5

Structure:
a = 17.2570 Å, b = 4.7578 Å, c = 12.6861 Å
α = 90.00°, β = 125.67°, γ = 90.00°
Space group C2/m (No. 12)
Symmetry-distinct sites (fractional):
Mn1 0.0000 0.0000 0.0000 x2
Tl1 0.1113 0.5000 0.3729 x4
Tl2 0.2199 0.0000 0.8250 x4
Cl1 0.0000 0.5000 0.0000 x2
Cl2 0.1133 0.5000 0.8308 x4
Cl3 0.1398 0.0000 0.1944 x4
Cl4 0.1674 0.0000 0.5509 x4

***

Starting from a DFT-relaxed cell (PBE, Alexandria), the powder diffractogram of MnTl4Cl5 was calculated for Cu Kα (weighted mean of Kα1 and Kα2).
Neutral-atom scattering factors, no anomalous dispersion.

Principal peaks in the range 5 to 70 degrees two-theta, sorted by position:
2θ 23.69, 3.755 Å, I = 30.2
2θ 25.28, 3.523 Å, I = 100.0
2θ 26.54, 3.359 Å, I = 28.3
2θ 30.45, 2.936 Å, I = 83.3
2θ 34.14, 2.627 Å, I = 29.3
2θ 35.87, 2.503 Å, I = 25.0
2θ 43.75, 2.069 Å, I = 15.2
2θ 46.09, 1.969 Å, I = 26.4
2θ 49.36, 1.846 Å, I = 23.6
2θ 50.36, 1.812 Å, I = 18.5

Structure:
a = 10.6208 Å, b = 10.6208 Å, c = 5.2530 Å
α = 90.00°, β = 90.00°, γ = 90.00°
Space group I4/m (No. 87)
Symmetry-distinct sites (fractional):
Mn1 0.0000 0.0000 0.0000 x2
Tl1 0.0347 0.2967 0.5000 x8
Cl1 0.0000 0.0000 0.5000 x2
Cl2 0.1658 0.1667 0.0000 x8

***

Starting from a DFT-relaxed cell (PBE, Alexandria), the powder diffractogram of MnTlCl3 was calculated for Cu Kα (weighted mean of Kα1 and Kα2).
└──
uh... electricity?...wires? Whatever... Someone's coming tomorrow to paint the whole thing I bought a whole bunch of paint Yeah, I don't like anything shiny so I'm going for a matte, white matte look I was so tired when I went to pick up the paint that I was just like... and then the lady was giving me all of her attention -- and I'm so not used to this in Paris, that I just panicked and was like 'This is fine!' I don't understand how blue would go with this and then that But this is a fourth priority -- fourth, because the third one is more important That is the parquet -- the floors Because it's a beautiful wood, it's just ruined because it needs to be done So someone -- after the painter -- someone's coming to just strip this back and then put... varnish? Is that what it's called?... put on top It should look really good [Music] I can tell you it's a really mixed arrondissement, there's a bit of everything Not as chic as the Marais, for sure It's not what you'd expect from Paris Which is both a good thing -- maybe not such a great thing either I do believe it will take some getting used to, 'cause, you know, it's quite different But it's got very good things about it as well It's a nice neighborhood, it's got really weird things...
(Records of crystals, as found in the file)
-- begin --
The following is a theoretical PXRD pattern of Co2TeHO6. It was derived from a crystal structure in Alexandria, relaxed with GGA+U, using Cu Kα (λ = 1.5418 Å).
Kinematic intensities with the Lorentz-polarization factor, no thermal factor.

Main lines, most intense first (2θ from 10° to 90°):
(0 0 1), 2θ = 18.01°, I 100; (2 1 0), 2θ = 35.97°, I 47; (0 1 0), 2θ = 21.16°, I 41; (1 1 1), 2θ = 23.38°, I 40; (1 0 -1), 2θ = 26.95°, I 39; (1 -1 0), 2θ = 35.83°, I 34; (1 2 1), 2θ = 35.61°, I 31; (0 1 -1), 2θ = 32.08°, I 24; (1 0 1), 2θ = 27.36°, I 23; (1 2 -2), 2θ = 63.04°, I 22

Structural model:
```
Co2TeHO6
1.0
5.0675 0.0000 0.0000
2.5129 4.4292 0.0000
0.8487 1.6437 4.9246
Co Te H O
2 1 1 6
Direct
0.0000 0.0000 0.0000 Co
0.3308 0.4787 0.6216 Co
0.6628 0.6830 0.9950 Te
0.1700 0.2360 0.2426 H
0.3238 0.0617 0.7751 O
0.3350 0.6197 0.2199 O
0.6944 0.4127 0.7906 O
0.7071 0.8914 0.2126 O
0.9769 0.2396 0.2246 O
0.9781 0.7772 0.7829 O
```

~~~~~

1.
This entry pairs a crystal structure of Tm4BSeS2 with its theoretical powder diffraction line list. Radiation: CuKα. Structure: a structure optimized by DFT (PBE).

Cell and atoms:
```
data_Tm4BSeS2
_chemical_formula_sum 'Tm8 B2 Se2 S4'
_space_group_name_H-M_alt 'I -4 m 2'
_space_group_IT_number 119
_space_group_name_Hall 'I -4 -2'
_cell_length_a 5.466
_cell_length_b 5.466
_cell_length_c 11.014
_cell_angle_alpha 90.00
_cell_angle_beta 90.00
_cell_angle_gamma 90.00
loop_
_atom_site_label
_atom_site_type_symbol
_atom_site_fract_x
_atom_site_fract_y
_atom_site_fract_z
Tm1 Tm 0.000 0.000 0.230
Tm2 Tm 0.000 0.500 0.505
B1 B 0.000 0.000 0.000
Se1 Se 0.000 0.500 0.250
S1 S 0.000 0.000 0.500
S2 S 0.000 0.500 0.750
```

The 10 most intense peaks (10° ≤ 2θ ≤ 90°), sorted by position:
two_theta  I_rel  hkl
28.2  100  1 1 2
32.5  42  0 0 4
32.8  92  2 0 0
46.8  60  2 0 4
47.0  33  2 2 0
55.7  32  3 1 2
58.3  31  2 2 4
78.1  13  4 0 4
78.2  15  4 2 0
87.3  21  4 2 4

=====

2.
This entry pairs a crystal structure of NdYBr5 with its theoretical powder diffraction line list. Radiation: CuKα. Structure: a structure optimized by DFT (PBE).

Cell and atoms:
```
data_NdYBr5
_chemical_formula_sum 'Nd2 Y2 Br10'
_space_group_name_H-M_alt 'P 1 21/m 1'
_space_group_IT_number 11
_space_group_name_Hall '-P 2yb'
_cell_length_a 8.505
_cell_length_b 4.054
_cell_length_c 13.685
_cell_angle_alpha 90.00
_cell_angle_beta 94.28
_cell_angle_gamma 90.00
loop_
_atom_site_label
_atom_site_type_symbol
_atom_site_fract_x
_atom_site_fract_y
_atom_site_fract_z
Nd1 Nd 0.102 0.250 0.152
Y1 Y 0.417 0.750 0.345
Br1 Br 0.069 0.750 0.311
Br2 Br 0.137 0.250 0.928
Br3 Br 0.323 0.250 0.482
Br4 Br 0.354 0.750 0.129
Br5 Br 0.371 0.750 0.709
```

The 10 most intense peaks (10° ≤ 2θ ≤ 90°), sorted by position:
two_theta  I_rel  hkl
11.9  100  1 0 -1
28.0  39  1 1 2
29.9  18  2 0 3
30.5  36  2 1 0
30.9  50  1 1 -3
32.6  22  2 1 -2
32.8  31  3 0 1
41.7  18  2 1 4
42.7  21  4 0 0
44.7  23  0 2 0

=====

Copy entry 2 word for word.
-- stop --
Like a submarine I don't often ask this, but I couldn't resist... If you like my channel, please sub-scribe [Music] The northern part used to be warehouses but now the city is rapidly gentrifying it Some parts are still a bit sketchy, but with some very cool fun spots as well [Music] The part south of the canal is a bit more traditional Paris And the park area is very much sought after You don't see visitors, you see people who actually live in the neighborhood, or live in Paris and come here specifically to be in this neighborhood So it's a huge difference But I do think really that, if you are coming to Paris, the Marais is one of the most beautiful places you can stay at It's fun, it's vibey As a person who lives in the neighborhood though, it's different... I don't look for the same things as visitors do...
I want a life of the quartier, I want a life of the neighborhood I want to have little shops that I go buy my groceries at I want to know the people who work in those shops So I realize that the neighborhood I moved into has a lot of downsides, sure But I do feel a lot more of the life of the quartier here [Music] My cat, Calvin, also needed to love it [Music] I've done quite a bit of things I put mastic -- I don't know what that is in English -- around the bathtub Also, what's lovely about this apartment is that it's so quiet and peaceful, you can hear yourself think, and so sunny and everything However last night late I was here, and there was absolutely no noise except for my breathing... And that guy, who's super loud It's impossible to be around this thing I mean this was here before and I thought 'Oh great, I can use this' But no -- unless I want to not get any sleep So I ordered another one What else did I do ? I put up the shelves, because I have a lot of books So I put up some shelves over here That could be nice, just kind of put them up there Hopefully it will hold, 'cause otherwise I'll go through the door and *boing* And I bought a lot of these things, to put one right along here and perhaps two over here and over here to put all my books in However... Paris apartments, as charming as they are, are... ...handmade So nothing is straight It would look wonky all the time So, given up on that I'll have to do -- I'll have to throw away some books, I guess That's painful It's really painful So voilà. Now I'm going to clean the inside of the cabinets, which are filthy So frigging dirty! This is stuff that won't come off Out of sight, out of mind -- What? Yeah -- out of sight, out of mind Not all the renovation went smoothly I don't know if you remember there was this awful aluminium foil type thing here and I thought I'll take it off and I'll put one of these nice little easy stick-on tiles So I took it off and I started from there And I thought it's fine, it's just some, you know, tape -- double-sided tape -- so I'm just going to get the right stuff for it, to remove it And then the further and further I got I realized...
This... And I have no idea how to plaster If I was renting this place, I wouldn't even care, I wouldn't even touch it Now that I got my own place, I thought I should make it nice, because it's my place... Wrong! So I don't know what -- and my eye keeps itching I really wanted this video to be one of those where I show you the image Before, and then magically an amazing After But, yeah, that's not happening... I don't give a shit about YouTube! I really don't care about -- look at what I have to live with! Put that camera away! I hate my life...
I don't care what my reasoning was for moving... Big mistake -- stay where you are I'm not doing a video about this, this is like too much work and then to on top of it make a video about it -- are you crazy? You're no help Why don't you do anything, huh? You sleep all day, and then when I come tired at night, you just -- you're all energetic and wake me up 3,000 times a night What's that about? Why did I ever do this? I should have just let it be... All right -- I plastered For the first time in my life, I plastered something, and my god! It's fun, but when it gets to like problematic areas it's really difficult See, when you see this stuff on YouTube, you're just like -- it goes from as if it all happened in one day It goes from this horrible thing, to this beautiful thing -- Whee! Not like that It takes forever, there's a lot of waiting involved Voilà! But I'm pretty happy with what I did I think for a first timer I didn't do too badly I wish I had Cinderella's abilities and call on all the rats of Paris to come and clean this crap up for me I'm the real Cinderella I have to do this all by myself It may not be perfect, but my apartment is a lot better And as I said -- it's mine! I am very lucky, I know that, to have a place in Paris that I own... No arguments with the landlord, no worries about changing things inside That gives me peace of mind No matter what happens, I can always call Paris home
2024-12-05 16:00